Data:
-- begin --
Record 1
A relaxed structure of ZrTaMo2. Source: the Alexandria database, functional PBE.

Properties
Its symmetry is Fm-3m (225). The value obtained for the energy above the lowest structure with this stoichiometry is 18 meV/atom.

a b c (Å): 6.5686 6.5686 6.5686
angles (deg): 90.00 90.00 90.00
Last column: nearest neighbours and their distance in Å.
Atoms (fractional coordinates):
Zr1 0.0000 0.0000 0.0000  8 Mo 2.84
Zr2 0.0000 0.5000 0.5000  8 Mo 2.84
Zr3 0.5000 0.0000 0.5000  8 Mo 2.84
Zr4 0.5000 0.5000 0.0000  8 Mo 2.84
Ta1 0.0000 0.0000 0.5000  8 Mo 2.84
Ta2 0.0000 0.5000 0.0000  8 Mo 2.84
Ta3 0.5000 0.0000 0.0000  8 Mo 2.84
Ta4 0.5000 0.5000 0.5000  8 Mo 2.84
Mo1 0.2500 0.2500 0.2500  4 Zr 2.84, 4 Ta 2.84
Mo2 0.2500 0.2500 0.7500  4 Zr 2.84, 4 Ta 2.84
Mo3 0.2500 0.7500 0.2500  4 Zr 2.84, 4 Ta 2.84
Mo4 0.2500 0.7500 0.7500  4 Zr 2.84, 4 Ta 2.84
Mo5 0.7500 0.2500 0.2500  4 Zr 2.84, 4 Ta 2.84
Mo6 0.7500 0.2500 0.7500  4 Zr 2.84, 4 Ta 2.84
Mo7 0.7500 0.7500 0.2500  4 Zr 2.84, 4 Ta 2.84
Mo8 0.7500 0.7500 0.7500  4 Ta 2.84, 4 Zr 2.84

***

Record 2
A relaxed structure of La2Cd2Ga. Source: the Alexandria database, functional PBE.

Properties
Its symmetry is P4/mbm (127). The value obtained for the energy above the lowest structure with this stoichiometry is 100 meV/atom.

a b c (Å): 8.9457 8.9457 3.8323
angles (deg): 90.00 90.00 90.00
Last column: nearest neighbours and their distance in Å.
Atoms (fractional coordinates):
La1 0.1778 0.3222 0.0000  6 Cd 3.19-3.32, 2 Ga 3.29
La2 0.3222 0.8222 0.0000  6 Cd 3.19-3.32, 2 Ga 3.29
La3 0.6778 0.1778 0.0000  6 Cd 3.19-3.32, 2 Ga 3.29
La4 0.8222 0.6778 0.0000  6 Cd 3.19-3.32, 2 Ga 3.29
Cd1 0.1201 0.6201 0.5000  1 Cd 3.04, 6 La 3.19-3.32
Cd2 0.3799 0.1201 0.5000  1 Cd 3.04, 6 La 3.19-3.32
Cd3 0.6201 0.8799 0.5000  1 Cd 3.04, 6 La 3.19-3.32
Cd4 0.8799 0.3799 0.5000  1 Cd 3.04, 6 La 3.19-3.32
Ga1 0.0000 0.0000 0.0000  4 La 3.29
Ga2 0.5000 0.5000 0.0000  4 La 3.29

***

Record 3
A relaxed structure of Sr2TiGaBi. Source: the Alexandria database, functional PBE.

Properties
Its symmetry is P4/mmm (123). As for the total DFT energy (no corrections): -15.274 eV for the cell shown.

a b c (Å): 6.0118 6.0118 5.4281
angles (deg): 90.00 90.00 90.00
Last column: nearest neighbours and their distance in Å.
Atoms (fractional coordinates):
Sr1 0.0000 0.5000 0.0000  2 Ga 3.01
Sr2 0.5000 0.0000 0.0000  2 Ga 3.01
Ti1 0.0000 0.0000 0.5000  8 Sr 4.05, 4 Bi 4.25
Ga1 0.5000 0.5000 0.0000  2 Bi 2.71, 4 Sr 3.01
Bi1 0.5000 0.5000 0.5000  2 Ga 2.71

***

Copy entry 3 word for word.
A relaxed structure of Sr2TiGaBi. Source: the Alexandria database, functional PBE.

Properties
Its symmetry is P4/mmm (123). As for the total DFT energy (no corrections): -15.274 eV for the cell shown.

a b c (Å): 6.0118 6.0118 5.4281
angles (deg): 90.00 90.00 90.00
Last column: nearest neighbours and their distance in Å.
Atoms (fractional coordinates):
Sr1 0.0000 0.5000 0.0000  2 Ga 3.01
Sr2 0.5000 0.0000 0.0000  2 Ga 3.01
Ti1 0.0000 0.0000 0.5000  8 Sr 4.05, 4 Bi 4.25
Ga1 0.5000 0.5000 0.0000  2 Bi 2.71, 4 Sr 3.01
Bi1 0.5000 0.5000 0.5000  2 Ga 2.71

=====

# 1
## Mg5Ga2Pd2 (PBE)

Data for an optimized crystal structure of Mg5Ga2Pd2.

Cell lengths 7.847, 7.847, 7.023 Å; angles 90.00, 90.00, 54.58 degrees
Atoms (fractional coordinates):
Mg  0.000  0.000  0.000
Mg  0.036  0.707  0.666
Mg  0.207  0.536  0.166
Mg  0.293  0.964  0.666
Mg  0.464  0.793  0.166
Mg  0.500  0.500  0.500
Mg  0.536  0.207  0.834
Mg  0.707  0.036  0.334
Mg  0.793  0.464  0.834
Mg  0.964  0.293  0.334
Ga  0.213  0.213  0.000
Ga  0.287  0.287  0.500
Ga  0.713  0.713  0.500
Ga  0.787  0.787  0.000
Pd  0.138  0.862  0.365
Pd  0.362  0.638  0.865
Pd  0.638  0.362  0.135
Pd  0.862  0.138  0.635

The volume comes out at 19.58 Å³ per atom. Its formation enthalpy at 0 K is -0.32 eV per atom. The density of states at the Fermi level comes out at 4.5 states/eV/cell.

---

# 2
## NdSmInRh (PBE)

Data for an optimized crystal structure of NdSmInRh.
-- stop --
Brief:
Now start at the top of the block above and give back each line, ending with the one that has "per atom.".
Result:
Record 1
A relaxed structure of ZrTaMo2. Source: the Alexandria database, functional PBE.

Properties
Its symmetry is Fm-3m (225). The value obtained for the energy above the lowest structure with this stoichiometry is 18 meV/atom.

a b c (Å): 6.5686 6.5686 6.5686
angles (deg): 90.00 90.00 90.00
Last column: nearest neighbours and their distance in Å.
Atoms (fractional coordinates):
Zr1 0.0000 0.0000 0.0000  8 Mo 2.84
Zr2 0.0000 0.5000 0.5000  8 Mo 2.84
Zr3 0.5000 0.0000 0.5000  8 Mo 2.84
Zr4 0.5000 0.5000 0.0000  8 Mo 2.84
Ta1 0.0000 0.0000 0.5000  8 Mo 2.84
Ta2 0.0000 0.5000 0.0000  8 Mo 2.84
Ta3 0.5000 0.0000 0.0000  8 Mo 2.84
Ta4 0.5000 0.5000 0.5000  8 Mo 2.84
Mo1 0.2500 0.2500 0.2500  4 Zr 2.84, 4 Ta 2.84
Mo2 0.2500 0.2500 0.7500  4 Zr 2.84, 4 Ta 2.84
Mo3 0.2500 0.7500 0.2500  4 Zr 2.84, 4 Ta 2.84
Mo4 0.2500 0.7500 0.7500  4 Zr 2.84, 4 Ta 2.84
Mo5 0.7500 0.2500 0.2500  4 Zr 2.84, 4 Ta 2.84
Mo6 0.7500 0.2500 0.7500  4 Zr 2.84, 4 Ta 2.84
Mo7 0.7500 0.7500 0.2500  4 Zr 2.84, 4 Ta 2.84
Mo8 0.7500 0.7500 0.7500  4 Ta 2.84, 4 Zr 2.84

***

Record 2
A relaxed structure of La2Cd2Ga. Source: the Alexandria database, functional PBE.

Properties
Its symmetry is P4/mbm (127). The value obtained for the energy above the lowest structure with this stoichiometry is 100 meV/atom.

a b c (Å): 8.9457 8.9457 3.8323
angles (deg): 90.00 90.00 90.00
Last column: nearest neighbours and their distance in Å.
Atoms (fractional coordinates):
La1 0.1778 0.3222 0.0000  6 Cd 3.19-3.32, 2 Ga 3.29
La2 0.3222 0.8222 0.0000  6 Cd 3.19-3.32, 2 Ga 3.29
La3 0.6778 0.1778 0.0000  6 Cd 3.19-3.32, 2 Ga 3.29
La4 0.8222 0.6778 0.0000  6 Cd 3.19-3.32, 2 Ga 3.29
Cd1 0.1201 0.6201 0.5000  1 Cd 3.04, 6 La 3.19-3.32
Cd2 0.3799 0.1201 0.5000  1 Cd 3.04, 6 La 3.19-3.32
Cd3 0.6201 0.8799 0.5000  1 Cd 3.04, 6 La 3.19-3.32
Cd4 0.8799 0.3799 0.5000  1 Cd 3.04, 6 La 3.19-3.32
Ga1 0.0000 0.0000 0.0000  4 La 3.29
Ga2 0.5000 0.5000 0.0000  4 La 3.29

***

Record 3
A relaxed structure of Sr2TiGaBi. Source: the Alexandria database, functional PBE.

Properties
Its symmetry is P4/mmm (123). As for the total DFT energy (no corrections): -15.274 eV for the cell shown.

a b c (Å): 6.0118 6.0118 5.4281
angles (deg): 90.00 90.00 90.00
Last column: nearest neighbours and their distance in Å.
Atoms (fractional coordinates):
Sr1 0.0000 0.5000 0.0000  2 Ga 3.01
Sr2 0.5000 0.0000 0.0000  2 Ga 3.01
Ti1 0.0000 0.0000 0.5000  8 Sr 4.05, 4 Bi 4.25
Ga1 0.5000 0.5000 0.0000  2 Bi 2.71, 4 Sr 3.01
Bi1 0.5000 0.5000 0.5000  2 Ga 2.71

***

Copy entry 3 word for word.
A relaxed structure of Sr2TiGaBi. Source: the Alexandria database, functional PBE.

Properties
Its symmetry is P4/mmm (123). As for the total DFT energy (no corrections): -15.274 eV for the cell shown.

a b c (Å): 6.0118 6.0118 5.4281
angles (deg): 90.00 90.00 90.00
Last column: nearest neighbours and their distance in Å.
Atoms (fractional coordinates):
Sr1 0.0000 0.5000 0.0000  2 Ga 3.01
Sr2 0.5000 0.0000 0.0000  2 Ga 3.01
Ti1 0.0000 0.0000 0.5000  8 Sr 4.05, 4 Bi 4.25
Ga1 0.5000 0.5000 0.0000  2 Bi 2.71, 4 Sr 3.01
Bi1 0.5000 0.5000 0.5000  2 Ga 2.71

=====

# 1
## Mg5Ga2Pd2 (PBE)

Data for an optimized crystal structure of Mg5Ga2Pd2.

Cell lengths 7.847, 7.847, 7.023 Å; angles 90.00, 90.00, 54.58 degrees
Atoms (fractional coordinates):
Mg  0.000  0.000  0.000
Mg  0.036  0.707  0.666
Mg  0.207  0.536  0.166
Mg  0.293  0.964  0.666
Mg  0.464  0.793  0.166
Mg  0.500  0.500  0.500
Mg  0.536  0.207  0.834
Mg  0.707  0.036  0.334
Mg  0.793  0.464  0.834
Mg  0.964  0.293  0.334
Ga  0.213  0.213  0.000
Ga  0.287  0.287  0.500
Ga  0.713  0.713  0.500
Ga  0.787  0.787  0.000
Pd  0.138  0.862  0.365
Pd  0.362  0.638  0.865
Pd  0.638  0.362  0.135
Pd  0.862  0.138  0.635

The volume comes out at 19.58 Å³ per atom. Its formation enthalpy at 0 K is -0.32 eV per atom. The density of states at the Fermi level comes out at 4.5 states/eV/cell.